Wrapping up Living Libraries
“As we bring the Living Libraries project to a close, just a little reminder of what we’ve been up to over the last year…”
The case for public libraries: Contributing to a sustainable future
“Libraries are both a sanctuary and a necessary public gathering-place; in the library, we can regroup, share, learn and equip ourselves to act in response to disconcerting challenges to our environment, political climate, and public health…“
The case for public libraries: Accessing information you can trust
[Between two parts of the text: records of crystals]
____________
Entry 1:
Calculated powder diffractogram of KTm3Se4O12 for CuKα, from the PBE geometry in Alexandria.

Principal peaks in the range 10° ≤ 2θ ≤ 80°, low angle first:
| 2θ (°) | I_rel |
| --- | --- |
| 14.58 | 51.2 |
| 24.85 | 65.5 |
| 27.46 | 100.0 |
| 29.40 | 25.0 |
| 32.54 | 59.5 |
| 35.82 | 30.6 |
| 37.75 | 27.3 |
| 49.47 | 21.9 |
| 51.86 | 24.9 |
| 54.45 | 33.6 |

Structure:
Cell: 12.1510 12.1510 8.2558 Å, 90.00 90.00 120.00°
Space group R32 (No. 155, hexagonal axes)
Symmetry-distinct sites (fractional):
K1 0.0000 0.0000 0.0000
Tm1 0.0000 0.5663 0.0000
Se1 0.0000 0.0000 0.5000
Se2 0.0000 0.4347 0.5000
O1 0.0000 0.6159 0.5000
O2 0.0000 0.8425 0.5000
O3 0.0505 0.2505 0.1734


Entry 2:
Calculated powder diffractogram of La5Pm2PrY for CuKα, from the PBE geometry in Alexandria.

Principal peaks in the range 10° ≤ 2θ ≤ 80°, low angle first:
| 2θ (°) | I_rel |
| --- | --- |
| 27.30 | 54.5 |
| 27.82 | 58.2 |
| 30.39 | 100.0 |
| 30.59 | 21.8 |
| 35.52 | 24.5 |
| 36.61 | 13.9 |
| 40.69 | 15.3 |
| 50.22 | 19.7 |
| 55.83 | 11.9 |
| 56.20 | 13.0 |

Structure:
Cell: 9.2405 9.2405 15.2542 Å, 90.00 90.00 90.00°
Space group I4/mcm (No. 140)
Symmetry-distinct sites (fractional):
La1 0.0000 0.0000 0.0000
La2 0.2080 0.2920 0.1374
Pm1 0.1130 0.3870 0.5000
Pr1 0.0000 0.0000 0.2500
Y1 0.0000 0.5000 0.2500


Entry 3:
Calculated powder diffractogram of Ti4V for CuKα, from the PBE geometry in Alexandria.

Principal peaks in the range 10° ≤ 2θ ≤ 80°, low angle first:
| 2θ (°) | I_rel |
| --- | --- |
| 38.19 | 30.7 |
| 39.45 | 24.7 |
| 40.46 | 100.0 |
| 56.07 | 15.9 |
| 60.97 | 6.8 |
| 64.35 | 1.8 |
| 70.56 | 16.3 |
| 72.22 | 11.9 |
| 74.26 | 7.2 |
| 75.08 | 6.1 |

Structure:
Cell: 3.0394 4.7135 22.8438 Å, 90.00 90.00 90.00°
Space group Fmmm (No. 69)
Symmetry-distinct sites (fractional):
Ti1 0.0000 0.0000 0.0914
Ti2 0.0000 0.0000 0.3015
V1 0.0000 0.0000 0.5000


Entry 4:
Calculated powder diffractogram of K2SmTmS4 for CuKα, from the PBE geometry in Alexandria.

Principal peaks in the range 10° ≤ 2θ ≤ 80°, low angle first:
| 2θ (°) | I_rel |
| --- | --- |
| 12.00 | 77.1 |
| 24.14 | 17.1 |
| 25.58 | 26.2 |
| 26.53 | 35.1 |
| 30.05 | 100.0 |
| 38.24 | 19.6 |
| 41.50 | 35.6 |
| 44.50 | 33.7 |
| 46.26 | 17.1 |
| 54.63 | 17.3 |

Structure:
Cell: 7.0538 4.0713 7.7381 Å, 90.00 107.66 90.00°
Space group P2/m (No. 10)
Symmetry-distinct sites (fractional):
K1 0.0000 0.0000 0.0000
K2 0.5000 0.5000 0.0000
Sm1 0.0000 0.5000 0.5000
Tm1 0.5000 0.0000 0.5000
S1 0.2423 0.0000 0.7039
S2 0.2740 0.5000 0.2993


Entry 5:
Calculated powder diffractogram of NaLaDy4Se8 for CuKα, from the PBE geometry in Alexandria.

Principal peaks in the range 10° ≤ 2θ ≤ 80°, low angle first:
| 2θ (°) | I_rel |
| --- | --- |
| 12.46 | 21.3 |
| 12.78 | 30.7 |
| 24.16 | 24.7 |
| 24.49 | 53.5 |
| 24.66 | 28.6 |
| 29.60 | 100.0 |
| 38.45 | 21.9 |
| 38.78 | 24.3 |
| 41.94 | 66.7 |
| 42.75 | 66.0 |

Structure:
Cell: 8.4599 8.4599 21.3058 Å, 90.00 90.00 120.00°
Space group R3m (No. 160, hexagonal axes)
____________
“‘Every single day, without fail, for years,’ reported Caroline, a group of “very dedicated newspaper readers” have gathered at Storyhouse in Chester. The public library has long been both repository and provider of trusted information; a keeper of facts and holder of records…”
The case for public libraries: Creating a safe place for everyone
"‘Whoever you are, wherever you’re from, whatever your personal circumstances,’ Jayne explained, the library is a “safe, inclusive place to be, where everybody is welcome”. A central pillar of the post-war social project, the public library has been for many a constant in a rapidly changing world...”
The case for public libraries: Improving health and wellbeing
“When Elizabeth became house-bound through illness, books “became a lifeline” and a “salvation”. Home visits from her local library service provided much-needed social contact, while reading proved an absorbing, calming activity…”
Making the case for public libraries
“Public libraries are one of the cornerstones of our society. Free and open to all, they provide, in the words of one Living Libraries interviewee, Rachel, “somewhere to be, somewhere to read, somewhere to learn, somewhere to connect”, with “no bar to age or background” as another interviewee, Elaine, explained…”
Living Libraries with Just Radio
“Transforming from silent spaces to ‘community living rooms’, as our interviewee Jayne puts it, public libraries have proved their adaptability and resilience time and again. Their response to the current COVID-19 crisis is no exception. Listen below to find out more…”
From physical library to virtual reality
# Calculated crystals, kept here for reference
~~~
Diffraction record for Tb2Nd13. The PXRD pattern is simulated, not measured: it uses a cell relaxed with PBE and copper Kα.
No peak broadening, texture or thermal motion is included.

Cell and atoms:
Cell lengths 7.2297, 7.2297, 35.4798 Å; angles 90.00, 90.00, 120.00 degrees
Space group R-3m (No. 166, hexagonal axes)
Unique sites:
1 Tb 0.0000 0.0000 0.2061 (multiplicity 6)
2 Nd 0.0000 0.0000 0.0000 (multiplicity 3)
3 Nd 0.0025 0.5012 0.7903 (multiplicity 18)
4 Nd 0.0026 0.5013 0.9550 (multiplicity 18)

Principal peaks in the range 2θ from 10° to 90°, sorted by position:
index  2θ (°)  I_rel
0 2 1  28.63  79
0 0 12  30.25  100
2 0 5  31.22  86
0 2 7  33.65  65
2 2 0  50.49  52
2 2 12  59.98  60

***

Diffraction record for Tb6Nd7. The PXRD pattern is simulated, not measured: it uses a cell relaxed with PBE and copper Kα.
No peak broadening, texture or thermal motion is included.

Cell and atoms:
Cell lengths 6.6832, 6.6832, 34.6395 Å; angles 90.00, 90.00, 120.00 degrees
Space group R-3m (No. 166, hexagonal axes)
Unique sites:
1 Tb 0.0000 0.0000 0.0455 (multiplicity 6)
2 Tb 0.0000 0.0000 0.1477 (multiplicity 6)
3 Tb 0.0000 0.0000 0.3349 (multiplicity 6)
4 Nd 0.0000 0.0000 0.5000 (multiplicity 3)
5 Nd 0.0127 0.5063 0.9124 (multiplicity 18)

Principal peaks in the range 2θ from 10° to 90°, sorted by position:
index  2θ (°)  I_rel
1 1 0  26.68  32
1 0 10  30.07  29
0 0 12  30.95  100
0 1 11  32.37  35
2 0 5  33.56  31
2 2 0  54.96  25

***

Diffraction record for Tb13Nd3. The PXRD pattern is simulated, not measured: it uses a cell relaxed with PBE and copper Kα.
No peak broadening, texture or thermal motion is included.

Cell and atoms:
Cell lengths 7.304, 11.447, 12.620 Å; angles 90.00, 90.00, 90.00 degrees
Space group Amm2 (No. 38)
Unique sites:
1 Tb 0.000 0.000 0.000 (multiplicity 2)
2 Tb 0.000 0.000 0.497 (multiplicity 2)
3 Tb 0.000 0.248 0.166 (multiplicity 4)
4 Tb 0.249 0.248 0.416 (multiplicity 8)
5 Tb 0.250 0.000 0.249 (multiplicity 4)
6 Tb 0.500 0.000 0.497 (multiplicity 2)
7 Tb 0.500 0.249 0.166 (multiplicity 4)
8 Nd 0.249 0.000 0.747 (multiplicity 4)
9 Nd 0.500 0.000 0.000 (multiplicity 2)

Principal peaks in the range 2θ from 10° to 90°, sorted by position:
index  2θ (°)  I_rel
0 0 4  28.25  24
0 4 0  31.25  24
2 2 2  32.37  100
4 0 0  50.01  20
2 6 2  56.34  21
4 4 0  60.16  23

***

Diffraction record for Tb4Nd3. The PXRD pattern is simulated, not measured: it uses a cell relaxed with PBE and copper Kα.
No peak broadening, texture or thermal motion is included.

Cell and atoms:
Cell lengths 11.426, 5.108, 8.080 Å; angles 90.00, 98.12, 90.00 degrees
Space group C2/m (No. 12)
Unique sites:
1 Tb 0.072 0.000 0.210 (multiplicity 4)
2 Tb 0.142 0.500 0.930 (multiplicity 4)
3 Nd 0.000 0.500 0.500 (multiplicity 2)
4 Nd 0.214 0.000 0.646 (multiplicity 4)

Principal peaks in the range 2θ from 10° to 90°, sorted by position:
index  2θ (°)  I_rel
1 1 2  30.30  100
4 0 1  35.12  34
0 2 0  35.13  17
4 2 1  50.52  36
7 1 0  60.05  43
7 3 0  82.24  18
~~~
# The calculated crystals stop here
“As the country went into lockdown, sound designer Lucy Harrison, scenographic designer Ele Slade and myself, met to discuss our project, which now looked wholly untenable – an art piece that moved around the country, visiting public indoor spaces - public libraries, designed primarily for people to touch…”
What is Living Libraries?
“At the heart of the Living Libraries project is people talking. It’s a project that uses oral history interviews to explore people’s memories and experiences of public libraries, to find out why and how often people go to them…”